Why Invest?
Progress in the battle against malaria has been achieved through large-scale deployment of insecticides and effective drugs in the last decade. However, successful implementation of these interventions is highly resource –intensive and acutely dependent on strong public health systems, continued donor support and sustained collaboration across sectors.
In Malaria
There are no vaccines against malaria on the market, and they are increasingly needed because of :
a) the size of the health problem;b) the soon coming lack of effective treatment;c) the superiority of prevention over cure;d) vaccines have by far the best cost-effectiveness ratio both in financial as in Public Health terms.
In Vac4All
# Here the entry breaks off for calculated molecules
No. 1
Formula: C21H30Cl2IrN2OS5
Source: the OMol25 dataset
Level of theory: wB97M-V/def2-TZVPD

Positions of all 62 atoms, in Å:
Ir1 -0.538 0.598 0.036
C1 -2.636 2.736 1.348
C2 -1.365 3.556 1.519
S1 0.145 2.539 1.223
C3 1.027 3.475 -0.064
C4 0.381 3.373 -1.430
S2 0.216 1.639 -1.973
C5 -1.101 1.931 -3.209
C6 -1.769 0.693 -3.789
S3 -2.780 -0.353 -2.706
C7 -4.088 0.732 -2.063
C8 -3.981 0.993 -0.559
S4 -2.452 1.907 -0.246
H1 -3.509 3.389 1.317
H2 -2.751 1.995 2.138
H3 -1.289 3.936 2.535
H4 -1.342 4.400 0.830
H5 2.036 3.062 -0.057
H6 1.092 4.515 0.257
H7 0.983 3.896 -2.175
H8 -0.617 3.814 -1.422
H9 -0.593 2.468 -4.012
H10 -1.832 2.604 -2.764
H11 -1.023 0.000 -4.183
H12 -2.371 1.020 -4.638
H13 -5.039 0.232 -2.249
H14 -4.106 1.669 -2.621
H15 -3.997 0.072 0.022
H16 -4.787 1.650 -0.226
Cl1 1.975 -1.793 -2.378
C9 0.653 -2.833 -1.980
C10 0.621 -4.115 -2.472
C11 -0.502 -4.903 -2.241
C12 -1.598 -4.398 -1.552
C13 -1.570 -3.113 -1.059
Cl2 -2.954 -2.508 -0.235
C14 -0.417 -2.291 -1.211
N1 -0.305 -1.064 -0.722
H17 1.453 -4.490 -3.052
H18 -0.532 -5.914 -2.623
H19 -2.481 -5.004 -1.401
C15 4.858 -2.152 0.679
C16 3.376 -1.980 0.433
O1 3.005 -0.594 0.278
H20 5.106 -3.211 0.755
H21 5.175 -1.662 1.601
H22 5.440 -1.736 -0.145
H23 2.791 -2.350 1.276
H24 3.062 -2.541 -0.450
H25 3.459 -0.254 -0.499
S5 -1.089 -0.356 2.140
C17 0.348 -0.303 3.099
N2 1.569 -0.122 2.560
C18 2.713 -0.101 3.284
C19 2.677 -0.282 4.634
C20 1.428 -0.488 5.239
C21 0.279 -0.491 4.486
H26 1.667 -0.018 1.545
H27 3.616 0.064 2.715
H28 3.589 -0.265 5.209
H29 1.366 -0.636 6.309
H30 -0.691 -0.637 4.939

electronic energy	-4018.11718	a.u.
multiplicity	2
HOMO level (spin up / spin down)	-13.164 / -13.663	eV
HOMO-LUMO gap (spin up / spin down)	6.75 / 7.01	eV
total charge	+2
ΔE to the lowest compared entry with this formula, charge and spin	10.5	kcal/mol
expectation value of S²	0.86
LUMO level (spin up / spin down)	-6.41 / -6.65	eV

The net atomic charges from Löwdin, expressed in e, are:
1. Ir 0.61
2. C -0.45
3. C -0.43
4. S 0.81
5. C -0.46
6. C -0.47
7. S 0.83
8. C -0.48
9. C -0.50
10. S 0.87
11. C -0.50
12. C -0.44
13. S 0.83
14. H 0.11
15. H 0.07
16. H 0.10
17. H 0.09
18. H 0.09
19. H 0.11
20. H 0.11
21. H 0.07
22. H 0.10
23. H 0.05
24. H 0.08
25. H 0.09
26. H 0.09
27. H 0.09
28. H 0.06
29. H 0.10
30. Cl 0.79
31. C -0.56
32. C -0.08
33. C -0.02
34. C -0.08
35. C -0.59
36. Cl 0.74
37. C -0.44
38. N -0.19
39. H 0.12
40. H 0.13
41. H 0.12
42. C -0.06
43. C -0.32
44. O -0.17
45. H 0.09
46. H 0.07
47. H 0.09
48. H 0.12
49. H 0.04
50. H 0.08
51. S 0.65
52. C -0.66
53. N 0.05
54. C -0.04
55. C -0.01
56. C 0.00
57. C -0.06
58. H 0.07
59. H 0.13
60. H 0.13
61. H 0.13
62. H 0.12

---

No. 2
Formula: C21H30CrNO2P2
Source: the OMol25 dataset
Level of theory: wB97M-V/def2-TZVPD

Positions of all 57 atoms, in Å:
Cr1 -0.011 -0.243 -0.365
P1 -0.385 2.106 -0.358
C1 0.988 2.467 -1.407
C2 2.149 1.633 -1.159
N1 1.892 0.306 -0.851
C3 2.908 -0.557 -0.606
C4 4.223 -0.117 -0.591
C5 4.505 1.223 -0.881
C6 3.471 2.083 -1.200
# End of the calculated molecules
1. Very low safety risk with 2nd-Generation MSP3 Bio-fusion
As it combines 2 very-well tolerated molecules: the first generation MSP3-LSP with safety records in 6 clinical trials (4 of them in young African children) and CRM 197 with safety records in hundred millions of individuals.
2. Very high chances of efficacy
In the children vaccinated by MSP3, higher anti-MSP3 antibodies are associated with higher protection, and the second generation Bio-fusion induces a major increase in the same antibodies.
## Between two parts of the entry: molecular data
+++
The following is a DFT calculation (ωB97M-V with the def2-TZVPD basis set) of a molecular structure, C17H36BN3O11S at a distorted geometry.

ORCA input file:
```
! RIJCOSX wB97M-V def2-TZVPD def2/J DEFGRID3
* xyz 0 1
C 2.77218 -4.98295 -0.52452
C 2.11652 -4.13889 -1.12844
C 1.30643 -2.82986 -1.34302
C -0.21094 -2.84483 -1.11197
C -1.09205 -1.63981 -1.25095
C -2.61955 -1.84712 -0.93259
B -3.63656 -1.08781 -1.92622
O -5.01138 -0.97126 -1.50921
O -3.31269 -0.48867 -3.16153
C -0.42583 -0.33493 -1.64610
N -1.06331 0.90799 -1.79386
S 0.20026 1.95685 -2.18730
N 1.58791 0.96889 -2.20790
C 1.09337 -0.31751 -1.88114
C 1.98402 -1.55592 -1.73381
C 3.54349 -1.43820 -1.95522
O 4.02774 -0.47375 -0.94874
N 5.31414 -0.82535 -0.57832
O 5.62497 -0.09709 0.30545
H 3.25494 -5.86311 -0.02261
H -0.68277 -3.82920 -0.80378
H -2.79372 -1.60680 0.17170
H -2.82268 -2.96699 -1.03143
H -5.03277 -1.31962 -0.58903
H -3.58420 0.45513 -3.18194
H 4.06117 -2.43140 -1.78641
H 3.79904 -1.00501 -2.97840
C 3.25534 -1.02940 2.72975
O 3.13221 -1.66848 1.46747
H 2.66528 -1.57894 3.46255
H 4.30395 -1.02503 3.03964
H 2.88314 -0.00384 2.66159
H 3.66375 -1.16164 0.83927
C -5.64600 -5.06817 -0.42828
O -4.88575 -4.31778 -1.36726
H -4.96988 -5.48076 0.31965
H -6.37431 -4.41791 0.06299
H -6.16188 -5.88521 -0.93819
H -5.50508 -3.96355 -2.01748
C 1.71244 2.47157 4.38326
O 3.08303 2.14463 4.61012
H 1.11512 2.06579 5.19760
H 1.59202 3.55713 4.35306
H 1.37978 2.03416 3.43875
H 3.58736 2.51460 3.87621
C -7.84501 1.55863 -2.27784
O -8.00195 0.36230 -1.53063
H -8.81507 2.04717 -2.36432
H -7.14879 2.22767 -1.76496
H -7.46851 1.32477 -3.27732
H -7.13157 -0.05053 -1.46823
C 0.10471 5.18690 -5.12838
O 0.29140 5.06391 -3.72493
H -0.87142 4.77925 -5.38862
H 0.14424 6.24045 -5.41658
H 0.88170 4.62775 -5.65609
H 1.15998 5.43042 -3.51960
C 2.33187 0.54469 8.06680
O 1.87726 0.43696 6.72648
H 1.63340 0.01864 8.71705
H 3.32230 0.09147 8.15989
H 2.37519 1.59706 8.36026
H 2.51163 0.91013 6.17005
C 3.91202 2.81413 -0.55380
O 3.31424 4.06397 -0.22188
H 3.12529 2.13013 -0.88208
H 4.63094 2.95601 -1.36541
H 4.41492 2.40438 0.32585
H 4.02295 4.65378 0.06086
*
```

Results
* frontier orbital gap: 7.47 eV
* electronic energy: -2084.021455 Ha
* largest force on an atom: 0.08705 hartree/bohr

=====

The following is a DFT calculation (ωB97M-V with the def2-TZVPD basis set) of a molecular structure, C17H36GeN5NiO3Se4Si3 at a distorted geometry.

ORCA input file:
```
! RIJCOSX wB97M-V def2-TZVPD def2/J DEFGRID3
* xyz -2 4
Ni -0.10976 -0.11025 -0.23540
C 1.71631 0.42094 3.70702
C 1.23052 0.24721 2.29784
N -0.01338 0.33264 1.98816
O -0.87837 0.55637 3.05010
C 2.15694 0.01606 1.21167
C 3.63145 0.25188 1.35504
N 1.64846 -0.33993 0.05140
O 2.36522 -0.48174 -0.99050
H 0.99213 -0.01852 4.39163
H 1.80061 1.48480 3.94138
H 2.68959 -0.04535 3.84647
H -1.72667 0.61711 2.58185
H 3.83130 1.18129 1.89145
H 4.05797 0.33318 0.35671
H 4.12256 -0.57550 1.87886
Se 0.12512 0.28484 -2.83369
Se -1.27536 1.66723 -3.79250
Se -4.16406 -0.29295 -0.95404
+++
3. Unusually short time to Proof-of-concept, as Key milestones are
# Someone pasted records of molecules at this point
~~~
Entry 1:
Computed, not measured: 3 unconnected molecules or ions with the total composition C3H4INO2 in a non-equilibrium geometry, with wB97M-V/def2-TZVPD.

Results
- ΔE to the lowest compared entry with this formula, charge and spin (kcal/mol) = 23.1
- electronic energy (eV) = -16860.4319

```
11
Properties=species:S:1:pos:R:3:forces:R:3
C -2.331358 1.548691 1.270784 0.05 0.13 -0.24
C -4.829714 -0.419984 -0.980689 0.42 1.14 -1.28
C 0.183695 -0.156650 -0.262872 -0.03 -0.59 -2.37
N -2.350705 1.398824 2.423164 -0.66 -0.71 1.97
O -5.048476 0.339096 -1.804583 -0.98 1.46 -1.53
O -4.485090 -1.156167 -0.199740 0.47 -2.58 2.84
I -1.103036 -1.873752 -0.373661 0.05 0.37 0.43
H 0.157215 0.179837 -1.319744 -0.56 0.64 0.93
H 0.018602 0.579003 0.502518 -0.38 -0.02 0.09
H 1.151042 -0.583908 -0.284666 1.08 -0.41 0.88
H -2.586458 1.107785 3.396379 0.54 0.59 -1.73
```
Positions in Å, forces in eV/Å.



Entry 2:
Computed, not measured: a molecular structure, C48H46KN4O2PS2, with wB97M-V/def2-TZVPD.

Results
- ΔE to the lowest compared entry with this formula, charge and spin (kcal/mol) = 0.0
- total charge = -2
- electronic energy (eV) = -107865.8703

```
104
Properties=species:S:1:pos:R:3:forces:R:3
K 1.316112 -0.630996 0.471648 -0.18 -0.55 -0.19
C 2.565154 -3.638474 3.044215 -0.03 -0.05 0.01
C 3.340744 -2.601183 2.278465 -0.03 0.01 -0.08
C 3.620290 -2.779439 0.927119 0.04 -0.04 0.01
C 4.319525 -1.813459 0.201458 -0.01 0.03 0.08
C 4.611343 -2.013068 -1.259449 0.11 0.00 -0.06
C 4.716147 -0.647735 0.847695 -0.04 -0.02 -0.07
C 4.440780 -0.439143 2.196562 -0.01 0.02 0.01
C 4.842027 0.852939 2.852020 -0.01 0.02 0.04
C 3.761414 -1.426709 2.899337 -0.04 0.00 0.01
H 2.051735 -4.317352 2.362854 0.01 0.00 0.00
H 1.809813 -3.173370 3.678883 0.01 0.00 -0.01
H 3.228203 -4.234039 3.679434 0.00 0.01 0.00
H 3.237156 -3.653821 0.409974 0.04 0.00 -0.01
H 5.617189 -2.423571 -1.395462 -0.01 0.02 0.00
H 4.571375 -1.065435 -1.800276 -0.01 -0.02 0.00
H 3.905307 -2.707731 -1.711795 -0.01 -0.01 0.00
H 5.178776 0.149846 0.275557 0.00 0.00 0.04
H 5.887572 0.817616 3.175681 -0.01 0.00 -0.01
H 4.224563 1.050553 3.730477 0.01 0.00 -0.01
H 4.724279 1.675078 2.144741 0.00 -0.01 0.01
H 3.504852 -1.255168 3.941349 0.01 -0.01 -0.01
O 4.029545 2.598896 0.110770 -0.05 -0.04 0.12
C 2.799895 2.536020 0.246350 -0.28 0.37 -0.34
O 2.108508 1.664554 0.833349 0.32 0.17 0.28
C 1.948897 3.651375 -0.384354 0.03 -0.04 0.02
C 2.607798 4.689975 -1.029985 0.09 -0.03 -0.03
C 1.913656 5.734517 -1.615282 0.00 0.03 -0.02
C 0.528808 5.740647 -1.554620 -0.04 -0.07 0.04
C -0.141853 4.707726 -0.912015 0.16 0.01 -0.05
C 0.545586 3.644128 -0.317265 -0.11 0.09 0.05
P -0.374291 2.252848 0.507737 0.42 -0.05 -0.34
C -2.106856 2.778140 0.155887 -0.17 0.21 0.20
C -2.856708 3.677612 0.916823 -0.03 0.05 -0.13
C -4.154407 4.005616 0.553225 0.02 0.03 0.05
C -4.730523 3.440218 -0.577842 -0.03 -0.03 -0.04
C -4.005298 2.529562 -1.331893 -0.04 0.01 0.00
C -2.710549 2.200692 -0.954181 -0.05 -0.04 -0.02
~~~
- At one year: expected Immunogenicity reached and Safety
- At 2 years: Improved Clinical Efficacy in field trials (MSP3-Biofusion); or in malaria infected mosquitoes challenge trials (LSA3-Biofusion)
4. Due Diligence already performed by Sanofi & precise Roadmap of development defined

Why Invest in Vaccines against Malaria
- Safe malaria vaccines that are highly protective and easy to deploy would greatly complement current prevention and treatment measures. Malaria vaccines would safeguard against widespread drug and insecticide resistance that could erase all the gains achieved in the last decade. Vaccines have the record of being a cost-effective medical tool against serious infectious diseases and in the case of smallpox, polio and measles, an indispensable tool of elimination.
- There are no malaria vaccine on the market, and limitations of the first-generation malaria vaccines, such as GSK RTS,S, underscore the need for better second generation vaccines.
- Over the last decade, there have been efforts to address health inequities, which have increased access to life-saving vaccines and this has changed the landscape for the public health. For vaccines, the most influential effort is the Global Alliance for Vaccines and Immunizations (GAVI). GAVI spends up to US$1.3-1.5 Billion annually on vaccine purchase for eligible countries and recently has prioritized malaria vaccines as a future purchase.
- Donors are also looking to create additional incentives for industry such as malaria vaccines pre-market commitments where donor subsidies for the future successful vaccine act as a guarantee of a viable market, something already in place for second-generation pneumococcal vaccines. This, along with the emergence of new and alternative markets and pharmaceutical industries, all represent both demand-stimulating mechanisms and potential market opportunities for vaccines against malaria.
There are two main and very distinct markets :
1. The market of endemic area populations or the Southern Market
The endemic area market is very wide as 3.5 Billion live in regions where they are exposed to malaria. It is influenced by several parameters, the main being the vaccine profile :
- For this market, a relatively costly vaccine (30 USD) with side effects, such as GSK-Gates RTSS, would be administered only to the most exposed;
- A low cost (1 USD), well-tolerated vaccine which corresponds to MSP3-Biofusion target profile, would be administered to all “exposed“ population, starting with intertropical Africa, extending later to the African continent, plus the many endemic areas in Asia & South America.
Other factors modulating the shape of the southern market are :
- The population growth is exploding and the size of the population requiring most to be protected against malaria is dramatically increasing. Today the majority of cases and fatalities prevail in Africa, a region where mothers have an average 8 children, where health care has progressed, and where the current estimated one billion inhabitants is expected to double to reach about two billion within the next 10 years.
- The groups at risk in Africa were, until recently, children under 5 and pregnant women but today as a result of control measures, the group at risk extends to older children and adolescents, multiplying by about 5-fold those in need of protection.
- The malaria-drugs pipeline has not been supplying the drug(s) which could take over, once artemisinin resistance has spread. This also stresses the need to prepare for a likely severe lack of treatments.
- Vaccines have a superior track record as a control tool, and with a richer pipeline than drugs, can be developed faster than new drugs which are yet to be identified.
2. The Travelers Market - Northern Market
The travelers (army, tourists, business travelers) market is the best defined: there are about 40 million annually who travel from EU-US to malaria endemic areas. More travel for leisure, commerce and family reasons occur to and from developing countries than ever before. Traveling and migration patterns and behavior have evolved dramatically over the last fifty years, with the democratization of air travel and the globalization of industrial activities.
With increase in travel to these areas, it is projected that this will increase to 60 million projected in 2020. Many travelers fail to protect themselves efficiently while traveling to areas of high incidence, as necessary measures are cumbersome, expensive and do not provide complete protection. Considering the variation in traveler behavior, attitudes towards travel and duration of stay, it was conservatively estimated that the market demand from travelers would be approximately 3.8 million people per year in 2025.
Recent studies in Europe (Switzerland and United Kingdom) and the US have estimated the cost of malaria prophylaxis to be around 44 USD to 300 USD per week or visit, varying depending on the drug regimen, duration of travel and health insurance reimbursement. Considering that efficacy is dependent on compliance to a daily regimen that many find challenging, a vaccine would be easily a more welcome and popular alternative.
Personnel, both military and non-military deployed to endemic areas are expected to take malaria prophylactic drugs as instructed and to use personal protective measures such as mosquito nets and insecticide-impregnated uniforms.
Compliance with chemoprophylaxis is poor and the rapid emergence of malaria drug resistance and the dwindling number of options for chemoprophylaxis make this a risky strategy to rely on. Personal protective measures are not 100 percent effective on their own, and insecticide resistance is an additional threat to the continued effectiveness of impregnated materials. Both chemoprophylaxis and mosquito net availability depend on supply chains that may not be fully operative in combat and emergency deployment situations, presenting another situation of potential demand for a malaria vaccine.

Why Invest in Vac4All
- Although numerous initiatives support malaria vaccine development, the call for malaria elimination and eradication has caused some major funders to focus on only vaccines that target transmission interruption and to disavow the development of blood-stage vaccines like MSP3 and question the value of mimicking natural immunity as a vaccinology strategy. This leaves a real and unfortunate gap in the development for vaccines that address the most urgent and pressing medical need, vaccines that directly reduce diseases and infections. Vac4All’s portfolio specifically targets this gap.
- We strongly believe that with a puzzle as complex and persistent as malaria, to shut the doors of opportunity presented by existing human models of immunity is premature, especially when mimicking human immunity represents the foundation of much of successful vaccinology today. The reality is that highly effective vaccines against disease and infection will also have an effect on disease transmission and could contribute to its elimination. No other malaria vaccine developers are fully exploiting clinical malaria immunity models, giving our company a major competitive advantage, as this has been the foundation on which our vaccines emerge.
- Over the years, in-house analytical knowledge and tools have been developed, including more relevant screening strategies such as the HIMM which has also allowed investigation of T-regulatory regions, an approach which could lead not only to reproducing natural immunity but improving it. Finally the use of the carrier protein is a unique approach to increase the magnitude and durability of vaccine responses needed for ultimate success.